I have been dreading dealing with this topic for days but it is important. I read an article recently while pursuing answers for myself. The article was followed by dozens of posted comments that broke my heart. It was a call to action. So without further ado, a major effort not to sound whiny, and a heart full of love for my helpers AND the ones that do not help:
How do you ask for help when you are the primary caregiver for an elderly parent?
Most of the comments following the article I read were filled with despair, anger and resentment both from caregivers trying to keep an elderly family member safe and well, without support, as well as from family members who chose not to be involved and from their perspective, had become the object of anger and resentment and were being shut out when they did try to visit or participate.
### These records of crystals were left in the page by mistake
Record 1
First-principles (GGA-PBE) data for a geometry-optimized MgFe4As4S4 structure, as listed in the Materials Project.

Cell: 5.867 5.980 5.994 Å, 108.06 92.06 88.91°
Positions (direct):
Mg1 0.720 0.093 0.421
Fe1 0.488 0.715 0.213
Fe2 0.002 0.281 0.254
Fe3 0.496 0.286 0.794
Fe4 0.013 0.740 0.716
As1 0.619 0.836 0.653
As2 0.137 0.147 0.869
As3 0.318 0.135 0.376
As4 0.892 0.824 0.093
S1 0.635 0.357 0.162
S2 0.135 0.643 0.326
S3 0.365 0.647 0.836
S4 0.884 0.390 0.705

## Properties
Symmetry: No. 1
Energy of formation, eV/f.u.: -4.22
V, Å³/atom: 15.4

***

Record 2
First-principles (GGA-PBE) data for a geometry-optimized MgFe4As4S4 structure, as listed in the Materials Project.

Cell: 5.731 6.099 6.039 Å, 109.81 88.82 91.18°
Positions (direct):
Mg1 0.028 0.488 0.010
Fe1 0.521 0.749 0.267
Fe2 0.020 0.265 0.283
Fe3 0.525 0.231 0.758
Fe4 0.026 0.714 0.740
As1 0.669 0.839 0.651
As2 0.187 0.083 0.879
As3 0.378 0.141 0.373
As4 0.862 0.894 0.148
S1 0.643 0.360 0.164
S2 0.175 0.656 0.388
S3 0.405 0.620 0.860
S4 0.870 0.325 0.636

## Properties
Symmetry: No. 1
Energy of formation, eV/f.u.: -5.45
V, Å³/atom: 15.3

***

Record 3
First-principles (GGA-PBE) data for a geometry-optimized MgFe4As4S4 structure, as listed in the Materials Project.

Cell: 5.712 6.092 6.023 Å, 109.39 91.19 88.94°
Positions (direct):
Mg1 0.484 0.500 0.495
Fe1 0.490 0.735 0.225
Fe2 0.992 0.270 0.270
Fe3 0.496 0.268 0.770
Fe4 0.994 0.734 0.727
As1 0.655 0.900 0.628
As2 0.134 0.141 0.868
As3 0.328 0.099 0.370
As4 0.851 0.864 0.126
S1 0.648 0.347 0.126
S2 0.116 0.644 0.335
S3 0.339 0.658 0.870
S4 0.866 0.360 0.659

## Properties
Symmetry: No. 1
Energy of formation, eV/f.u.: -5.46
V, Å³/atom: 15.2

***

Record 4
First-principles (GGA-PBE) data for a geometry-optimized MnFeAs structure, as listed in the Materials Project.

Cell: 3.715 3.715 5.920 Å, 90.00 90.00 90.00°
Positions (direct):
Mn1 0.500 0.000 0.322
Mn2 0.000 0.500 0.678
Fe1 0.500 0.500 0.000
Fe2 0.000 0.000 0.000
As1 0.500 0.000 0.749
As2 0.000 0.500 0.251

## Properties
Symmetry: No. 129
Energy of formation, eV/f.u.: -0.43
V, Å³/atom: 13.6

***

Record 5
First-principles (GGA-PBE) data for a geometry-optimized MnFeAs structure, as listed in the Materials Project.

Cell: 6.263 6.263 3.450 Å, 90.00 90.00 120.00°
Positions (direct):
Mn1 0.595 0.000 0.500
Mn2 0.405 0.405 0.500
Mn3 0.000 0.595 0.500
Fe1 0.255 0.000 0.000
Fe2 0.745 0.745 0.000
Fe3 0.000 0.255 0.000
As1 0.333 0.667 0.000
As2 0.667 0.333 0.000
As3 0.000 0.000 0.500

## Properties
Symmetry: No. 189
Energy of formation, eV/f.u.: -0.60
V, Å³/atom: 13.0

***

Record 6
First-principles (GGA-PBE) data for a geometry-optimized Mn3FeAs4 structure, as listed in the Materials Project.

Cell: 3.473 5.427 6.021 Å, 89.81 90.00 90.00°
Positions (direct):
Mn1 0.000 0.008 0.806
Mn2 0.500 0.498 0.303
Mn3 0.500 0.999 0.193
Fe1 0.000 0.502 0.695
As1 0.000 0.697 0.078
As2 0.000 0.196 0.422
As3 0.500 0.309 0.912
As4 0.500 0.792 0.591

## Properties
Symmetry: No. 6
I have been incredibly lucky to have friends that pop in and give a hand or just visit, people that help with the house and Mom's care, and a most of all, a husband who has supported and tolerated all this disruption and separation for years now.
I never expected this would be an issue with my family. And I was surprised, then hurt, then angry when it was. One family member actually told me that I took on my Mom's care against 'everyone's' better advice. (REALLY?) So if I was not happy with my lot that was too bad. My "problem"? No. Not my "problem". My mother.
It turns out that that is a common 'defense' from the non-helpers. Another 'defense' is that they just didn't know what to do or that help was wanted. A caregiver reported that her sister started helping after she came to the house and found the caregiver crying.
First-principles (PBE+U) data for a relaxed structure of P4H3W2O16, as listed in the Materials Project.

abc: 5.0138 7.4904 8.3186
angles: 90.80 90.57 104.35
Space group P1 (No. 1)
Asymmetric unit:
1 P 0.0000 0.0000 0.0000
2 P 0.2354 0.5166 0.3224
3 P 0.4946 0.4840 0.8105
4 P 0.7299 0.0227 0.5109
5 H 0.0767 0.2423 0.6544
6 H 0.5692 0.7564 0.2650
7 H 0.6769 0.7508 0.0355
8 W 0.1148 0.7538 0.6629
9 W 0.6174 0.2581 0.1610
10 O 0.0629 0.9426 0.8290
11 O 0.1694 0.5701 0.4940
12 O 0.2574 0.0760 0.1019
13 O 0.3454 0.3203 0.7135
14 O 0.3497 0.6490 0.8174
15 O 0.3791 0.6975 0.2322
16 O 0.4244 0.3830 0.3311
17 O 0.4435 0.9305 0.5896
18 O 0.5603 0.4482 0.9859
19 O 0.6770 0.0696 0.3383
20 O 0.7870 0.5812 0.7323
21 O 0.8140 0.1355 0.9909
22 O 0.8471 0.8193 0.0895
23 O 0.8679 0.1917 0.6135
24 O 0.8885 0.8678 0.5067
25 O 0.9765 0.4381 0.2221

Properties
E_tot	-6.95	eV/atom
formation enthalpy at 0 K	-2.269	eV per atom
theoretical density	4.119	g cm⁻³
M_tot	3.00	μB/f.u.
crystal system	triclinic

* * * * *

ZrMo2O8: optimized geometry, PBE with a Hubbard U.

- Calculated total energy: -7.62 eV/atom
- Space group: C2/m

a b c (Å): 6.209 6.209 5.064
angles (deg): 80.73 80.73 60.59
Fractional positions:
O 0.852 0.358 0.778
O 0.642 0.148 0.222
O 0.147 0.147 0.233
O 0.148 0.642 0.222
O 0.652 0.652 0.212
O 0.358 0.852 0.778
O 0.853 0.853 0.767
O 0.348 0.348 0.788
Mo 0.679 0.679 0.867
Mo 0.321 0.321 0.133
Zr 0.000 0.000 0.000

---

Na3VP3NO9: optimized geometry, PBE with a Hubbard U.

- Calculated total energy: -6.80 eV/atom
- Space group: P2_13

a b c (Å): 9.573 9.573 9.573
angles (deg): 90.00 90.00 90.00
Fractional positions:
O 0.627 0.505 0.389
O 0.151 0.728 0.478
O 0.191 0.550 0.668
O 0.505 0.389 0.627
O 0.373 0.005 0.111
O 0.005 0.111 0.373
O 0.978 0.349 0.272
O 0.349 0.272 0.978
O 0.332 0.691 0.950
O 0.651 0.772 0.522
O 0.849 0.228 0.022
O 0.050 0.832 0.809
O 0.478 0.151 0.728
O 0.995 0.611 0.127
O 0.228 0.022 0.849
O 0.950 0.332 0.691
O 0.168 0.309 0.450
O 0.127 0.995 0.611
O 0.668 0.191 0.550
O 0.450 0.168 0.309
O 0.495 0.889 0.873
O 0.611 0.127 0.995
O 0.550 0.668 0.191
O 0.873 0.495 0.889
O 0.111 0.373 0.005
O 0.309 0.450 0.168
O 0.809 0.050 0.832
O 0.772 0.522 0.651
O 0.389 0.627 0.505
O 0.832 0.809 0.050
O 0.522 0.651 0.772
O 0.889 0.873 0.495
O 0.022 0.849 0.228
O 0.272 0.978 0.349
O 0.691 0.950 0.332
O 0.728 0.478 0.151
P 0.668 0.585 0.255
P 0.415 0.755 0.832
P 0.585 0.255 0.668
P 0.332 0.085 0.245
P 0.245 0.332 0.085
P 0.745 0.168 0.915
P 0.915 0.745 0.168
P 0.755 0.832 0.415
P 0.168 0.915 0.745
P 0.085 0.245 0.332
P 0.832 0.415 0.755
P 0.255 0.668 0.585
V 0.580 0.580 0.580
V 0.420 0.080 0.920
V 0.080 0.920 0.420
V 0.920 0.420 0.080
Na 0.199 0.301 0.699
Na 0.512 0.488 0.988
Na 0.488 0.988 0.512
Na 0.801 0.801 0.801
Na 0.393 0.393 0.393
Na 0.607 0.893 0.107
Na 0.893 0.107 0.607
Na 0.012 0.012 0.012
Na 0.107 0.607 0.893
Na 0.988 0.512 0.488
Na 0.699 0.199 0.301
Na 0.301 0.699 0.199
N 0.303 0.803 0.697
N 0.197 0.197 0.197
N 0.803 0.697 0.303
So what do you do?
Well, I love the internet for just this sort of thing! The number of articles, blogs, links is amazing. I Googled "How to Ask for Help", then "How to Ask for Help When You are a Caregiver for a Parent". Both searches got me good answers. Some points appeared in many of the sources that made good sense across the board:
1. Ask - no one that I know can read minds. Assuming that someone knows what you wish they would do and what you need is going to get nothing done fast Be clear. Be specific. Please don't bully, scream or apply guilt. Ask.
2. Don't ask - be selective and infrequent when asking for help. It is my policy not to ask if there is any way out of it. I never ask twice. I try not to ask unfairly: you cannot expect your people to jeopardize their jobs or do things they just aren't equipped to do just because you have to.
3. Do Unto Others - Be a helper. Demonstrate that you are willing to give support as well as receive it. Offer up front to make a reciprocal effort on their behalf.
4. Accept what they Do Unto You - receive gratefully whatever help is granted or offered. It may not be what you needed but sometimes allowing something different and appreciating that which is given opens the gates
Now. Be prepared to be disappointed. If they wanted to help you they would be asking you what you need, right? There are reasons. Obviously, they might really be selfish, lazy and heartless. I am inclined to think that people generally want to be good to each other so it might be about fear, or upset, or inadequacy, or some other something...you can't know what drives some people toward you and some others away.
You have to teach your heart this thing: The response not to help is not about you. It is about them. As the consequences of their absence are going to be theirs to bear. Let it Be.
The important thing is to give good quality care to the one who needs it. If you need help and are not getting it from your family there are other avenues. Paid caregivers can be expensive but it may be necessary to hire someone to give you some kind of relief and take on some of your care load. There are volunteers out there who can give you a break. Find them.
Also, allow those people who do offer help to give it. One of my neighbors offered to be available on Monday afternoons to keep my Mom company. My first inclination was to tell her no, that was too much for her to do! And although I do not need that much coverage right now I know that I can schedule appointments or meet ups on Mondays without leaving my mother alone. So I can call my neighbor when I need her. That is a huge gift and a treasure to me.
Finally, this comforting posted comment from a caregiver which I will keep in my own heart and mind on this journey:
Inserted here: calculated crystals:
- - -
--- 1 ---
First-principles (GGA-PBE) data for a relaxed Mg9Si5 crystal, as listed in the Materials Project database.

V	19.928	A^3/atom
ρ	2.14	g/cm3

Structure (CIF):
```
data_Mg9Si5
_chemical_formula_sum 'Mg18 Si10'
_cell_length_a 6.931
_cell_length_b 7.909
_cell_length_c 11.382
_cell_angle_alpha 82.69
_cell_angle_beta 86.93
_cell_angle_gamma 64.36
_symmetry_space_group_name_H-M 'P 1'
_symmetry_Int_Tables_number 1
_symmetry_space_group_name_Hall 'P 1'
loop_
_atom_site_label
_atom_site_type_symbol
_atom_site_fract_x
_atom_site_fract_y
_atom_site_fract_z
Mg1 Mg 0.000 0.000 0.000
Mg2 Mg 0.010 0.089 0.392
Mg3 Mg 0.101 0.855 0.636
Mg4 Mg 0.209 0.619 0.874
Mg5 Mg 0.214 0.711 0.272
Mg6 Mg 0.299 0.203 0.950
Mg7 Mg 0.337 0.477 0.520
Mg8 Mg 0.346 0.100 0.582
Mg9 Mg 0.384 0.046 0.216
Mg10 Mg 0.498 0.711 0.030
Mg11 Mg 0.574 0.622 0.714
Mg12 Mg 0.681 0.621 0.285
Mg13 Mg 0.720 0.924 0.813
Mg14 Mg 0.786 0.836 0.468
Mg15 Mg 0.849 0.429 0.516
Mg16 Mg 0.886 0.306 0.140
Mg17 Mg 0.941 0.218 0.756
Mg18 Mg 0.942 0.666 0.089
Si1 Si 0.135 0.382 0.330
Si2 Si 0.314 0.929 0.817
Si3 Si 0.387 0.410 0.105
Si4 Si 0.416 0.784 0.464
Si5 Si 0.555 0.290 0.302
Si6 Si 0.624 0.338 0.926
Si7 Si 0.715 0.153 0.588
Si8 Si 0.810 0.985 0.229
Si9 Si 0.886 0.493 0.905
Si10 Si 0.995 0.556 0.688
```

--- 2 ---
First-principles (GGA-PBE) data for a relaxed Mg9Si5 crystal, as listed in the Materials Project database.

V	20.070	A^3/atom
ρ	2.12	g/cm3

Structure (CIF):
```
data_Mg9Si5
_chemical_formula_sum 'Mg18 Si10'
_cell_length_a 7.200
_cell_length_b 7.212
_cell_length_c 12.427
_cell_angle_alpha 82.10
_cell_angle_beta 86.20
_cell_angle_gamma 61.54
_symmetry_space_group_name_H-M 'P 1'
_symmetry_Int_Tables_number 1
_symmetry_space_group_name_Hall 'P 1'
loop_
_atom_site_label
_atom_site_type_symbol
_atom_site_fract_x
_atom_site_fract_y
_atom_site_fract_z
Mg1 Mg 0.000 0.000 0.000
Mg2 Mg 0.002 0.901 0.301
Mg3 Mg 0.055 0.065 0.644
Mg4 Mg 0.099 0.253 0.177
Mg5 Mg 0.268 0.531 0.681
Mg6 Mg 0.270 0.458 0.978
Mg7 Mg 0.339 0.406 0.305
Mg8 Mg 0.359 0.678 0.469
Mg9 Mg 0.390 0.709 0.120
Mg10 Mg 0.418 0.751 0.829
Mg11 Mg 0.598 0.926 0.408
Mg12 Mg 0.608 0.967 0.168
Mg13 Mg 0.649 0.179 0.822
Mg14 Mg 0.729 0.846 0.651
Mg15 Mg 0.739 0.241 0.463
Mg16 Mg 0.768 0.723 0.981
Mg17 Mg 0.949 0.523 0.472
Mg18 Mg 0.960 0.402 0.815
Si1 Si 0.007 0.786 0.817
Si2 Si 0.035 0.661 0.146
Si3 Si 0.175 0.116 0.413
Si4 Si 0.345 0.135 0.730
Si5 Si 0.355 0.053 0.990
Si6 Si 0.360 0.239 0.533
Si7 Si 0.634 0.573 0.297
Si8 Si 0.675 0.402 0.979
Si9 Si 0.675 0.487 0.643
Si10 Si 0.710 0.289 0.180
```

Of them, the most stable is 2 and the least stable is 1.


A relaxed Ca2CoRhO6 crystal, computed with PBE+U.

Summary:
**Formation energy**: -1853 kJ/mol of formula units
**Raw total energy**: -6.16 eV per atom

Unit cell a=6.4805 b=6.4805 c=6.3085 alpha=93.70 beta=93.70 gamma=91.62
Fractional positions:
Ca 0.0000 0.0000 0.0000
Ca 0.2589 0.3822 0.3698
Ca 0.6178 0.7411 0.6302
Ca 0.7628 0.2372 0.5000
Co 0.1290 0.8710 0.5000
Co 0.6227 0.3773 0.0000
- - -
"We caregivers don't volunteer or sign up for this role- which is what I've always thought- but rather we are "chosen" to take care of our loved ones and to make their last moments here on earth peaceful and memorable."
Do this service with all the love you can muster and as you do, love yourself for having been chosen. Cast out resentment and blame and unlove when it arises whatever its source. For you are not in service to your parent or family. Your service is to your Creator and all Creation. In doing this work now you are giving a specific gift to your specific person. But in the way of these things, your gift is sending its ripples out into the greater Universe.
Be good. Do good. Share this if you know someone it might help. Come back here where next time I promise to talk about something fun!
Love Big Ya'll, Lisa